What is needed: transcribe the data further below from the line with "3.65116 -1.39596" to the end unchanged.
********
Below is C43H49Br3IN6O3ReSi as an isolated structure, with properties calculated with ωB97M-V with the def2-TZVPD basis set.

Computed properties:
Multiplicity: 2
Expectation value of S²: 0.795
E_HOMO (spin up / spin down) in eV: -13.1 / -13.1
Charge: +3
Energy in eV: -288685.84890
Lowest unoccupied orbital energy (spin up / spin down) in eV: -9.84 / -9.93
Kohn-Sham gap (spin up / spin down) in eV: 3.251 / 3.157

Cartesian coordinates (Å):
1 Re -1.37584 -1.63826 -0.12931
2 Br -4.26444 -5.80836 0.66789
3 C -3.66204 -4.56436 1.94929
4 C -3.99564 -4.68436 3.29459
5 C -3.53974 -3.77726 4.23209
6 Br -3.98874 -4.01426 6.05449
7 C -2.74834 -2.65966 3.84229
8 C -2.23534 -1.67696 4.70489
9 C -1.48574 -0.64636 4.17909
10 C -1.23464 -0.59316 2.80879
11 N -1.68914 -1.51166 1.96759
12 C -2.43464 -2.53316 2.46659
13 C -2.83934 -3.51086 1.50489
14 O -2.42084 -3.38386 0.29929
15 H -4.61454 -5.51076 3.60959
16 H -2.42204 -1.73476 5.76749
17 H -1.07694 0.11924 4.81989
18 H -0.65114 0.21204 2.37829
19 C -5.42214 11.48024 -0.51381
20 O -6.11784 10.24854 -0.51291
21 C -5.50854 9.08504 -0.53551
22 C -6.34674 7.93954 -0.49251
23 C -5.81114 6.68214 -0.49081
24 C -4.41464 6.49454 -0.55481
25 C -3.58144 7.63004 -0.59181
26 C -4.10774 8.89734 -0.58191
27 C -3.90064 5.15544 -0.57771
28 N -4.64634 4.06674 -0.47031
29 C -3.80804 3.02004 -0.52981
30 C -2.48094 3.47814 -0.68161
31 N -2.56974 4.83164 -0.71841
32 C -1.36884 2.60734 -0.76391
33 C -0.04724 2.98974 -1.03201
34 C 0.91506 2.00544 -1.10191
35 C 0.57226 0.68364 -0.83621
36 N -0.66574 0.29274 -0.55211
37 C -1.64714 1.23074 -0.56451
38 C -2.99224 0.75114 -0.46121
39 N -3.14624 -0.59176 -0.40691
40 C -4.36444 -1.09916 -0.49261
41 C -5.50744 -0.30576 -0.58791
42 C -5.38344 1.06804 -0.55951
43 C -4.10084 1.62444 -0.50611
44 H -6.19774 12.24574 -0.46601
45 H -4.83344 11.60054 -1.42941
46 H -4.76814 11.56504 0.36049
47 H -7.41244 8.09824 -0.45531
48 H -6.43624 5.80604 -0.44191
49 H -2.50644 7.52374 -0.61201
50 H -3.44164 9.74684 -0.60811
51 H -1.80984 5.47634 -0.87151
52 H 0.20376 4.02664 -1.19671
53 H 1.93166 2.24274 -1.36641
54 H 1.33056 -0.08616 -0.85931
55 H -4.44164 -2.17946 -0.50531
56 H -6.47584 -0.77136 -0.67951
57 H -6.23914 1.72294 -0.59741
58 C 6.35906 -0.11646 0.64909
59 C 4.92556 -0.41806 0.17229
60 C 3.93006 0.13084 1.20789
61 C 4.69776 0.35864 -1.13391
62 Si 4.70756 -2.36966 -0.03711
63 Br 0.85476 -2.61246 0.21319
64 C 4.98446 -3.48846 1.54689
65 C 4.65766 -2.71796 2.83439
66 C 4.11976 -4.75806 1.53359
67 C 6.46606 -3.90166 1.59179
68 C 4.49856 -3.12156 -1.83631
69 C 5.82376 -2.96216 -2.60161
70 C 4.16236 -4.61646 -1.77401
71 C 3.38916 -2.41996 -2.63311
72 H 6.46576 0.95564 0.79959
73 H 7.09676 -0.41826 -0.08921
74 H 6.59656 -0.60056 1.59199
75 H 3.95956 1.21714 1.18219
76 H 4.19476 -0.17086 2.21249
77 H 2.91456 -0.19406 0.99829
78 H 4.89306 1.41194 -0.94361
79 H 3.67426 0.26414 -1.48671
80 H 5.37986 0.04444 -1.91691
81 H 3.61496 -2.41176 2.85619
82 H 5.30006 -1.85306 2.96709
83 H 4.83646 -3.37366 3.68329
84 H 3.06766 -4.51726 1.40659
85 H 4.24486 -5.27086 2.48519
86 H 4.42736 -5.44596 0.75529
87 H 7.12736 -3.04136 1.63679
88 H 6.74146 -4.51106 0.73629
89 H 6.64026 -4.49536 2.48589
90 H 6.63096 -3.50836 -2.12241
91 H 6.11976 -1.92216 -2.70091
92 H 5.70056 -3.36306 -3.60541
93 H 4.96616 -5.18326 -1.31661
94 H 4.04826 -4.99416 -2.78671
95 H 3.23596 -4.79686 -1.23731
96 H 3.65116 -1.39596 -2.87051
97 H 2.44786 -2.43616 -2.09291
98 H 3.25796 -2.94736 -3.57501
99 N -1.23934 -2.99896 -4.29811
100 C -1.20384 -3.04896 -2.97911
101 O -1.27264 -1.99096 -2.32181
102 C -1.01274 -4.37946 -2.29981
103 I -1.90574 -6.06936 -3.31501
104 H -1.33754 -2.11326 -4.77591
105 H -1.23534 -3.84356 -4.85541
106 H -1.43254 -4.35696 -1.29341
107 H 0.05646 -4.59366 -2.21971

=====

Below is a 4-piece molecular cluster, C43H49ClF3O15P overall, with properties calculated with ωB97M-V with the def2-TZVPD basis set.

Computed properties:
********
96 H 3.65116 -1.39596 -2.87051
97 H 2.44786 -2.43616 -2.09291
98 H 3.25796 -2.94736 -3.57501
99 N -1.23934 -2.99896 -4.29811
100 C -1.20384 -3.04896 -2.97911
101 O -1.27264 -1.99096 -2.32181
102 C -1.01274 -4.37946 -2.29981
103 I -1.90574 -6.06936 -3.31501
104 H -1.33754 -2.11326 -4.77591
105 H -1.23534 -3.84356 -4.85541
106 H -1.43254 -4.35696 -1.29341
107 H 0.05646 -4.59366 -2.21971

=====

Below is a 4-piece molecular cluster, C43H49ClF3O15P overall, with properties calculated with ωB97M-V with the def2-TZVPD basis set.

Computed properties: